-- Data --
=====
An optimized crystal structure of KSrCo2, computed with PBEsol.

Cell lengths 4.3533, 4.3533, 5.4889 Å; angles 113.36, 113.36, 90.00 degrees
Last column: magnetic moment on the atom in μB.
Sites, in units of the cell vectors:
K: 0.0000 0.0000 0.0000  -0.04
Co: 0.2500 0.7500 0.5000  1.52
Co: 0.7500 0.2500 0.5000  1.52
Sr: 0.5000 0.5000 0.0000  -0.09

Output
Space-group type   I4/mmm
Fermi-level density of states   7.02 states/eV/f.u.
Energy   -3.381 eV per atom
DFT formation energy   1231 meV per atom

---

An optimized crystal structure of LiCdHg2I, computed with PBEsol.

Cell lengths 5.1308, 5.4802, 5.4802 Å; angles 90.00, 90.00, 90.00 degrees
Sites, in units of the cell vectors:
Hg: 0.0000 0.5000 0.0000
Hg: 0.0000 0.0000 0.5000
I: 0.5000 0.0000 0.0000
Li: 0.0000 0.0000 0.0000
Cd: 0.5000 0.5000 0.5000

Output
Uncorrected formation energy   -0.130 eV/atom
Space-group type   P4/mmm
Fermi-level density of states   0.52 states/eV/f.u.
Energy   -1.343 eV per atom

---

An optimized crystal structure of MgAlIn2, computed with PBEsol.

Cell lengths 4.4708, 4.4708, 5.3676 Å; angles 114.61, 114.61, 90.00 degrees
Sites, in units of the cell vectors:
In: 0.7500 0.2500 0.5000
In: 0.2500 0.7500 0.5000
Al: 0.0000 0.0000 0.0000
Mg: 0.5000 0.5000 0.0000

Output
Space-group type   I4/mmm
Fermi-level density of states   1.72 states/eV/f.u.
Energy   -2.931 eV per atom
DFT formation energy   13 meV per atom

---

An optimized crystal structure of AlAu3, computed with PBEsol.

Cell lengths 2.9777, 2.9777, 8.6371 Å; angles 90.00, 90.00, 120.00 degrees
Sites, in units of the cell vectors:
Au: 0.0000 0.0000 0.5000
Au: 0.3333 0.6667 0.7715
Au: 0.3333 0.6667 0.2285
Al: 0.0000 0.0000 0.0000

Output
Space-group type   P-6m2
Fermi-level density of states   0.92 states/eV/f.u.
Energy   -4.149 eV per atom
DFT formation energy   -183 meV per atom

---

An optimized crystal structure of SrTaO3, computed with PBEsol.

Cell lengths 4.0213, 4.0213, 4.0213 Å; angles 90.00, 90.00, 90.00 degrees
Sites, in units of the cell vectors:
O: 0.5000 0.0000 0.0000
O: 0.0000 0.0000 0.5000
O: 0.0000 0.5000 0.0000
Ta: 0.0000 0.0000 0.0000
Sr: 0.5000 0.5000 0.5000

Output
Uncorrected formation energy   -2.922 eV/atom
Space-group type   Pm-3m
Fermi-level density of states   0.74 states/eV/f.u.
Energy   -8.949 eV per atom

---

An optimized crystal structure of Tc2SnHI, computed with PBEsol.

Cell lengths 3.4659, 5.0185, 5.0185 Å; angles 90.00, 90.00, 90.00 degrees
Last column: magnetic moment on the atom in μB.
Sites, in units of the cell vectors:
Sn: 0.0000 0.0000 0.0000  -0.01
I: 0.5000 0.5000 0.5000  0.00
H: 0.5000 0.0000 0.0000  0.01
Tc: 0.0000 0.0000 0.5000  0.37
Tc: 0.0000 0.5000 0.0000  0.37

Output
Space-group type   P4/mmm
Fermi-level density of states   6.00 states/eV/f.u.
Energy   -4.978 eV per atom

---

An optimized crystal structure of Mg4Re3, computed with PBEsol.

Cell lengths 5.1950, 5.1957, 5.1957 Å; angles 120.00, 90.00, 90.00 degrees
Sites, in units of the cell vectors:
Re: 0.0000 0.5000 0.0000
Re: 0.0000 0.5000 0.5000
Re: 0.0000 0.0000 0.5000
Mg: 0.7582 0.0000 0.0000
Mg: 0.2418 0.0000 0.0000
Mg: 0.5000 0.3333 0.6667
Mg: 0.5000 0.6667 0.3333

Output
Space-group type   P6/mmm
Fermi-level density of states   5.01 states/eV/f.u.
Energy   -6.405 eV per atom
DFT formation energy   290 meV per atom

---

An optimized crystal structure of BaAlPS2, computed with PBEsol.

Cell lengths 5.7163, 5.7163, 5.9398 Å; angles 90.00, 90.00, 90.00 degrees
Last column: magnetic moment on the atom in μB.
Sites, in units of the cell vectors:
S: 0.5000 0.0000 0.0000  0.41
S: 0.0000 0.5000 0.0000  0.41
Al: 0.5000 0.5000 0.5000  0.01
P: 0.0000 0.0000 0.5000  0.74
Ba: 0.0000 0.0000 0.0000  0.05

Output
Uncorrected formation energy   0.855 eV/atom
Space-group type   P4/mmm
Fermi-level density of states   5.74 states/eV/f.u.
Energy   -3.305 eV per atom

---

An optimized crystal structure of MgMnSiO2, computed with PBEsol.
=====

-- Wanted --
The reader should say how many lines of the lines above hold the word "Sites", as a bare number.

-- Outcome --
8